Activity:
Please filter the data further down: keep the lines with the word "Ag1".

Contents:
/*
# Er2PtS | the Alexandria database | PBE | relaxed
# ΔE_f (raw) (eV per formula unit): -6.5
# DOS(E_F) (states/eV/cell): 10.76
# Calculated volume (A^3/atom): 21.52
data_Er2PtS
_symmetry_space_group_name_H-M 'C m c m'
_symmetry_Int_Tables_number 63
_symmetry_space_group_name_Hall '-C 2c 2'
_cell_length_a 3.7820
_cell_length_b 22.1058
_cell_length_c 4.1187
_cell_angle_alpha 90.00
_cell_angle_beta 90.00
_cell_angle_gamma 90.00
loop_
_atom_site_label
_atom_site_type_symbol
_atom_site_fract_x
_atom_site_fract_y
_atom_site_fract_z
Er1 Er 0.0000 0.0666 0.2500
Er2 Er 0.0000 0.3180 0.2500
Pt1 Pt 0.0000 0.4511 0.2500
S1 S 0.0000 0.1935 0.2500

# MgCuTc2 | the Alexandria database | PBE | relaxed
# DOS(E_F) (states/eV/cell): 20.81
# Energy relative to the elements (eV per atom): 0.3661
# Calculated volume (A^3/atom): 14.83
data_MgCuTc2
_symmetry_space_group_name_H-M 'R -3 m'
_symmetry_Int_Tables_number 166
_symmetry_space_group_name_Hall '-R 3 2"'
_cell_length_a 2.7452
_cell_length_b 2.7452
_cell_length_c 27.2597
_cell_angle_alpha 90.00
_cell_angle_beta 90.00
_cell_angle_gamma 120.00
loop_
_atom_site_label
_atom_site_type_symbol
_atom_site_fract_x
_atom_site_fract_y
_atom_site_fract_z
Mg1 Mg 0.0000 0.0000 0.0000
Cu1 Cu 0.0000 0.0000 0.5000
Tc1 Tc 0.0000 0.0000 0.2461

# CaCr2BRu | the Alexandria database | PBE | relaxed
# DOS(E_F) (states/eV/cell): 13.13
# Energy relative to the elements (eV per atom): 2.8458
# Calculated volume (A^3/atom): 14.86
data_CaCr2BRu
_symmetry_space_group_name_H-M 'P 4/m m m'
_symmetry_Int_Tables_number 123
_symmetry_space_group_name_Hall '-P 4 2'
_cell_length_a 4.1488
_cell_length_b 4.1488
_cell_length_c 4.3172
_cell_angle_alpha 90.00
_cell_angle_beta 90.00
_cell_angle_gamma 90.00
loop_
_atom_site_label
_atom_site_type_symbol
_atom_site_fract_x
_atom_site_fract_y
_atom_site_fract_z
Ca1 Ca 0.0000 0.0000 0.0000
Cr1 Cr 0.0000 0.5000 0.0000
B1 B 0.0000 0.0000 0.5000
Ru1 Ru 0.5000 0.5000 0.5000

# EuCrN | the Alexandria database | PBE | relaxed
# ΔE_f (raw) (eV per formula unit): 0.3
# DOS(E_F) (states/eV/cell): 4.62
# Calculated volume (A^3/atom): 14.05
data_EuCrN
_symmetry_space_group_name_H-M 'I 4 m m'
_symmetry_Int_Tables_number 107
_symmetry_space_group_name_Hall 'I 4 -2'
_cell_length_a 2.8108
_cell_length_b 2.8108
_cell_length_c 10.6725
_cell_angle_alpha 90.00
_cell_angle_beta 90.00
_cell_angle_gamma 90.00
loop_
_atom_site_label
_atom_site_type_symbol
_atom_site_fract_x
_atom_site_fract_y
_atom_site_fract_z
Eu1 Eu 0.0000 0.0000 0.0000
Cr1 Cr 0.0000 0.0000 0.2805
N1 N 0.0000 0.0000 0.7381

# KMgAg2 | the Alexandria database | PBE | relaxed
# DOS(E_F) (states/eV/cell): 2.46
# Energy relative to the elements (eV per atom): 0.1222
# Calculated volume (A^3/atom): 23.89
data_KMgAg2
_symmetry_space_group_name_H-M 'C 1 2/m 1'
_symmetry_Int_Tables_number 12
_cell_length_a 7.7407
_cell_length_b 7.7378
_cell_length_c 3.1914
_cell_angle_alpha 90.00
_cell_angle_beta 90.12
_cell_angle_gamma 90.00
loop_
_symmetry_equiv_pos_as_xyz
'x,y,z'
'-x,-y,-z'
'-x,y,-z'
'x,-y,z'
'x+1/2,y+1/2,z'
'-x+1/2,-y+1/2,-z'
'-x+1/2,y+1/2,-z'
'x+1/2,-y+1/2,z'
loop_
_atom_site_label
_atom_site_type_symbol
_atom_site_fract_x
_atom_site_fract_y
_atom_site_fract_z
K1 K 0.0000 0.0000 0.0000
Mg1 Mg 0.0000 0.5000 0.0000
Ag1 Ag 0.2500 0.2500 0.5000

# Cr2FeCu | the Alexandria database | PBE | relaxed
# DOS(E_F) (states/eV/cell): 3.70
# Energy relative to the elements (eV per atom): 0.2169
# Calculated volume (A^3/atom): 11.35
data_Cr2FeCu
_symmetry_space_group_name_H-M 'P m m m'
_symmetry_Int_Tables_number 47
_cell_length_a 2.5046
_cell_length_b 3.6332
_cell_length_c 4.9884
_cell_angle_alpha 90.00
_cell_angle_beta 90.00
_cell_angle_gamma 90.00
loop_
_symmetry_equiv_pos_as_xyz
'x,y,z'
'-x,-y,-z'
'-x,-y,z'
'x,y,-z'
'x,-y,-z'
'-x,y,z'
'-x,y,-z'
'x,-y,z'
loop_
_atom_site_label
_atom_site_type_symbol
_atom_site_fract_x
_atom_site_fract_y
_atom_site_fract_z
Cr1 Cr 0.0000 0.0000 0.2323
Fe1 Fe 0.5000 0.5000 0.0000
Cu1 Cu 0.5000 0.5000 0.5000
*/

Here it is:
Ag1 Ag 0.2500 0.2500 0.5000